Now find "-1.2401 -3.4704" and "2.7176 0.0" in the lines below, and restate these two lines and those between.
<<<
Entry from the Open Molecules 2025 dataset: a structure of composition C41H44F6N9PS3SbTi (the ωB97M-V functional and the def2-TZVPD basis).

Output
- HOMO level (eV) = -15.447
- lowest unoccupied orbital energy (eV) = -8.94
- total charge = +3
- F_max (eV/Å) = 0.9
- orbital gap (Eh) = 0.2391

XYZ file:
```
106
Properties=species:S:1:pos:R:3:forces:R:3
Ti -1.2155 0.5411 0.7410 0.1 -0.9 -0.1
S -1.4345 -1.2164 -1.0569 0.0 0.2 0.1
C 0.1869 -1.2886 -1.6013 0.0 -0.1 0.0
N 0.5456 -1.2300 -2.8426 0.0 0.0 0.1
C 1.9587 -1.3885 -3.2220 0.0 0.0 0.0
C 2.6335 -2.3519 -2.2833 0.0 0.0 -0.1
N 2.4146 -1.9115 -0.8969 -0.1 0.0 0.0
C 3.5188 -2.1905 0.0527 0.0 0.0 0.1
C 3.7675 -3.6731 0.1310 0.0 0.0 0.0
C 4.9331 -4.2162 -0.3929 0.0 0.0 0.0
C 5.1511 -5.5861 -0.3310 0.0 0.0 0.0
C 4.2007 -6.4122 0.2469 0.0 0.0 0.0
C 3.0322 -5.8724 0.7716 0.0 0.0 0.0
C 2.8172 -4.5062 0.7166 0.0 0.0 0.0
C 1.2516 -1.4460 -0.5460 0.0 0.0 0.0
S 0.8280 -1.0468 1.0422 -0.2 0.2 0.0
C -0.3798 -1.0062 -3.9756 -0.1 0.0 0.0
C -0.4933 -2.2563 -4.8095 0.0 0.0 0.0
C -0.9495 -3.4419 -4.2385 0.0 0.0 0.0
C -1.0499 -4.5884 -5.0079 0.0 0.0 0.0
C -0.7016 -4.5546 -6.3529 0.0 0.0 0.0
C -0.2512 -3.3760 -6.9249 0.0 0.0 0.0
C -0.1413 -2.2273 -6.1524 0.0 0.0 0.0
H 2.4188 -0.3989 -3.2112 0.0 0.0 0.0
H 1.9772 -1.7833 -4.2370 0.0 0.0 0.0
H 3.7068 -2.3698 -2.4620 0.0 0.0 0.0
H 2.2552 -3.3714 -2.3942 0.0 0.0 0.0
H 3.2470 -1.7553 1.0127 0.0 0.0 0.0
H 4.3947 -1.6646 -0.3300 0.0 0.0 0.0
H 5.6839 -3.5713 -0.8335 0.0 0.0 0.0
H 6.0644 -6.0045 -0.7293 0.0 0.0 0.0
H 4.3721 -7.4781 0.2979 0.0 0.0 0.0
H 2.2994 -6.5192 1.2339 0.0 0.0 0.0
H 1.9146 -4.0828 1.1439 0.0 0.0 0.0
H 0.0547 -0.1881 -4.5524 0.0 0.0 0.0
H -1.3309 -0.6751 -3.5638 0.0 0.0 0.0
H -1.2401 -3.4704 -3.1943 0.0 0.0 0.1
H -1.4079 -5.5072 -4.5658 0.0 0.0 0.0
H -0.7853 -5.4486 -6.9540 0.0 0.0 0.0
H 0.0162 -3.3475 -7.9715 0.0 0.0 0.0
H 0.2097 -1.3067 -6.6023 0.0 0.0 0.0
N -2.9245 -1.1243 4.2518 0.1 0.1 -0.1
C -2.3754 -2.3312 3.8795 0.0 0.0 0.0
C -1.6859 -2.1004 2.7293 0.0 -0.1 0.1
N -1.8071 -0.7700 2.3947 -0.1 0.1 0.1
C -2.5659 -0.2127 3.3344 0.0 0.1 0.0
C -2.8635 1.1946 3.1851 0.0 -0.1 0.0
N -2.3529 1.7851 2.1168 0.0 0.1 0.1
C -2.8275 3.0705 2.0997 0.0 0.0 0.0
C -3.6290 3.2496 3.1875 0.0 0.0 0.0
N -3.6459 2.0534 3.8631 0.1 0.0 -0.1
H -3.4902 -0.9735 5.0737 0.0 0.0 0.0
H -2.5166 -3.2251 4.4598 0.0 0.0 0.0
H -1.1132 -2.7865 2.1305 0.0 0.0 0.0
H -2.5546 3.7689 1.3286 0.0 0.0 0.0
H -4.1718 4.1092 3.5368 0.0 0.0 0.0
H -4.1609 1.8759 4.7119 0.0 0.0 0.0
F -0.0339 1.3763 -0.5039 0.0 0.6 0.0
Sb 0.1977 2.9778 -1.9251 0.1 -0.2 0.1
F -1.0617 3.7692 -0.7748 -0.1 0.0 0.0
F -1.1916 2.0526 -2.7903 0.1 0.0 0.0
F 0.3246 4.3134 -3.1871 0.0 -0.1 0.0
F 1.3947 1.6901 -2.6047 0.0 0.1 -0.1
F 1.5364 3.5978 -0.7866 -0.1 0.0 -0.1
C -4.2505 2.5852 -3.6531 0.0 0.0 0.0
C -3.9905 2.9500 -2.1913 0.0 0.0 0.0
C -3.9492 1.7538 -1.3058 0.1 0.0 0.1
N -3.0096 1.4243 -0.4813 0.0 -0.1 -0.1
N -3.2779 0.2944 0.2350 0.0 0.0 -0.1
C -4.4133 -0.2794 -0.0650 0.0 0.0 0.0
N -4.8556 -1.4132 0.4975 0.0 0.0 0.0
S -5.2771 0.6180 -1.2646 0.0 0.0 0.0
H -4.2516 3.4885 -4.2587 0.0 0.0 0.0
H -5.2199 2.1036 -3.7845 0.0 0.0 0.0
H -3.4751 1.9215 -4.0315 0.0 0.0 0.0
H -4.7818 3.6101 -1.8235 0.0 0.0 0.0
H -3.0476 3.4761 -2.0719 0.0 0.0 0.0
H -4.2101 -1.9792 1.0253 0.0 0.0 0.0
H -5.6838 -1.8671 0.1486 0.0 0.0 0.0
C 0.7503 0.4825 3.9412 0.0 0.0 0.0
P 0.5957 1.5631 2.4820 0.0 0.1 0.0
C 0.0870 3.1709 3.1353 0.0 0.0 0.0
C 0.2091 4.2860 2.3049 0.0 0.0 0.0
C -0.1713 5.5365 2.7651 0.0 0.0 0.0
C -0.6694 5.6830 4.0536 0.0 0.0 0.0
C -0.7830 4.5781 4.8857 0.0 0.0 0.0
C -0.4096 3.3216 4.4292 0.0 0.0 0.0
C 2.3217 1.8669 1.9851 0.0 0.0 0.0
C 3.1165 2.4740 2.9638 0.0 0.0 0.0
C 4.4518 2.7420 2.7176 0.0 0.0 0.0
C 5.0063 2.4273 1.4850 0.0 0.0 0.0
C 4.2190 1.8469 0.5025 0.0 0.0 0.0
C 2.8854 1.5611 0.7506 -0.1 0.0 0.0
H 1.3584 0.9924 4.6880 0.0 0.0 0.0
H 1.2581 -0.4389 3.6573 0.0 0.0 0.0
H -0.2160 0.2371 4.3783 0.0 0.0 0.0
H 0.6283 4.1854 1.3109 0.0 0.0 0.0
H -0.0592 6.4006 2.1256 0.0 0.0 0.0
H -0.9464 6.6628 4.4172 0.0 0.0 0.0
>>>
H -1.2401 -3.4704 -3.1943 0.0 0.0 0.1
H -1.4079 -5.5072 -4.5658 0.0 0.0 0.0
H -0.7853 -5.4486 -6.9540 0.0 0.0 0.0
H 0.0162 -3.3475 -7.9715 0.0 0.0 0.0
H 0.2097 -1.3067 -6.6023 0.0 0.0 0.0
N -2.9245 -1.1243 4.2518 0.1 0.1 -0.1
C -2.3754 -2.3312 3.8795 0.0 0.0 0.0
C -1.6859 -2.1004 2.7293 0.0 -0.1 0.1
N -1.8071 -0.7700 2.3947 -0.1 0.1 0.1
C -2.5659 -0.2127 3.3344 0.0 0.1 0.0
C -2.8635 1.1946 3.1851 0.0 -0.1 0.0
N -2.3529 1.7851 2.1168 0.0 0.1 0.1
C -2.8275 3.0705 2.0997 0.0 0.0 0.0
C -3.6290 3.2496 3.1875 0.0 0.0 0.0
N -3.6459 2.0534 3.8631 0.1 0.0 -0.1
H -3.4902 -0.9735 5.0737 0.0 0.0 0.0
H -2.5166 -3.2251 4.4598 0.0 0.0 0.0
H -1.1132 -2.7865 2.1305 0.0 0.0 0.0
H -2.5546 3.7689 1.3286 0.0 0.0 0.0
H -4.1718 4.1092 3.5368 0.0 0.0 0.0
H -4.1609 1.8759 4.7119 0.0 0.0 0.0
F -0.0339 1.3763 -0.5039 0.0 0.6 0.0
Sb 0.1977 2.9778 -1.9251 0.1 -0.2 0.1
F -1.0617 3.7692 -0.7748 -0.1 0.0 0.0
F -1.1916 2.0526 -2.7903 0.1 0.0 0.0
F 0.3246 4.3134 -3.1871 0.0 -0.1 0.0
F 1.3947 1.6901 -2.6047 0.0 0.1 -0.1
F 1.5364 3.5978 -0.7866 -0.1 0.0 -0.1
C -4.2505 2.5852 -3.6531 0.0 0.0 0.0
C -3.9905 2.9500 -2.1913 0.0 0.0 0.0
C -3.9492 1.7538 -1.3058 0.1 0.0 0.1
N -3.0096 1.4243 -0.4813 0.0 -0.1 -0.1
N -3.2779 0.2944 0.2350 0.0 0.0 -0.1
C -4.4133 -0.2794 -0.0650 0.0 0.0 0.0
N -4.8556 -1.4132 0.4975 0.0 0.0 0.0
S -5.2771 0.6180 -1.2646 0.0 0.0 0.0
H -4.2516 3.4885 -4.2587 0.0 0.0 0.0
H -5.2199 2.1036 -3.7845 0.0 0.0 0.0
H -3.4751 1.9215 -4.0315 0.0 0.0 0.0
H -4.7818 3.6101 -1.8235 0.0 0.0 0.0
H -3.0476 3.4761 -2.0719 0.0 0.0 0.0
H -4.2101 -1.9792 1.0253 0.0 0.0 0.0
H -5.6838 -1.8671 0.1486 0.0 0.0 0.0
C 0.7503 0.4825 3.9412 0.0 0.0 0.0
P 0.5957 1.5631 2.4820 0.0 0.1 0.0
C 0.0870 3.1709 3.1353 0.0 0.0 0.0
C 0.2091 4.2860 2.3049 0.0 0.0 0.0
C -0.1713 5.5365 2.7651 0.0 0.0 0.0
C -0.6694 5.6830 4.0536 0.0 0.0 0.0
C -0.7830 4.5781 4.8857 0.0 0.0 0.0
C -0.4096 3.3216 4.4292 0.0 0.0 0.0
C 2.3217 1.8669 1.9851 0.0 0.0 0.0
C 3.1165 2.4740 2.9638 0.0 0.0 0.0
C 4.4518 2.7420 2.7176 0.0 0.0 0.0